## Wanted
It remains to quote the whole of the calculation results further down with every line break kept.

## File
........
No. 1
90
Properties=species:S:1:pos:R:3 method="wB97M-V/def2-TZVPD" total_charge=+1 lumo_ev=-3.19 mol_weight_g_mol=815.661 e_homo_ha=-0.3759
Bi -0.0469 0.1218 -0.4919
C -1.8581 1.7101 -0.3051
C -2.2558 0.7618 -1.3824
C -2.1066 -0.4606 0.6624
C -1.8486 0.9702 0.9589
C -2.3932 -0.5978 -0.7813
C -1.8799 3.2054 -0.4465
H -1.5510 3.5849 -1.4378
H -1.2744 3.7510 0.3033
H -2.9231 3.5730 -0.3146
C -1.8047 1.5512 2.3023
H -1.6014 2.6321 2.3255
H -1.0654 1.0790 2.9773
H -2.7819 1.4087 2.7957
C -2.2978 -1.5333 1.6763
H -3.3751 -1.6315 1.9225
H -1.7822 -1.3267 2.6298
H -1.9593 -2.5461 1.3667
C -3.2203 -1.7286 -1.2607
H -4.2778 -1.4873 -1.0223
H -3.0274 -2.6856 -0.7356
H -3.2197 -1.9737 -2.3422
C -3.0193 1.2701 -2.4989
H -3.9628 1.6860 -2.0864
H -3.3396 0.5178 -3.2297
H -2.5598 2.1178 -3.0452
C 1.4109 0.5223 -3.8529
C 0.3764 1.4069 -4.0059
C -0.1988 1.7408 -5.3373
C -1.0750 0.5889 -5.8954
C -1.1230 -0.6280 -5.0125
C -0.0817 -1.4808 -4.9269
C 1.2103 -1.2552 -5.6414
C 2.0784 -0.1408 -5.0056
H 0.6043 1.9761 -6.0557
H -0.6518 0.2970 -6.8730
H -0.7938 2.6767 -5.2595
H 2.3505 0.5973 -5.7756
H 1.7998 0.1725 -2.8907
H -0.1534 1.9042 -3.1834
H 3.0427 -0.5698 -4.6637
H 1.7671 -2.2056 -5.7292
H -0.2263 -2.4931 -4.5073
H 1.0070 -0.9758 -6.6889
H -2.0876 0.9417 -6.1614
H -2.1145 -0.9506 -4.6341
P 1.6143 1.9289 0.1878
C 1.2295 2.7063 1.7590
H 2.1125 3.3307 1.9860
H 1.0854 2.0329 2.6198
H 0.3650 3.3895 1.7054
C 3.2755 1.3512 0.4164
H 3.8327 2.2140 0.8378
H 3.7726 1.0711 -0.5277
H 3.3741 0.5112 1.1261
C 1.7988 3.3839 -0.8062
H 2.2981 3.1967 -1.7682
H 2.4602 4.0602 -0.2245
H 0.8622 3.9365 -1.0009
P 0.8441 -2.2483 -0.6717
C -0.3550 -3.5138 -1.0589
H 0.2491 -4.3601 -1.4405
H -1.1501 -3.3074 -1.7817
H -0.8728 -3.8843 -0.1431
C 2.4633 -2.4885 -1.3489
H 2.4467 -2.6804 -2.4321
H 2.8791 -3.4107 -0.8886
H 3.1964 -1.6811 -1.1395
C 1.2297 -3.0428 0.8837
H 1.4441 -4.0981 0.6273
H 0.4050 -3.0492 1.6076
H 2.1229 -2.6353 1.3619
O 2.3660 -0.7826 2.5650
C 1.1621 -0.5748 2.8295
O 0.2889 -0.3645 1.9696
C 0.8096 -0.6019 4.3409
C -0.4723 -0.4380 4.8862
C -0.6698 -0.3453 6.2935
C 0.3891 -0.4339 7.1761
C 1.6657 -0.6286 6.6440
C 1.8802 -0.7069 5.2432
N 2.8163 -0.7341 7.5778
O 2.5619 -0.6424 8.8080
O 3.9500 -0.9057 7.0751
N -2.0477 -0.0969 6.8143
O -2.9814 0.0005 5.9780
O -2.1625 0.0079 8.0605
H -1.3765 -0.3675 4.2891
H 0.2288 -0.3546 8.2361
H 2.8988 -0.8380 4.8871



No. 2
84
Properties=species:S:1:pos:R:3 method="wB97M-V/def2-TZVPD" total_charge=+2 e_above_lowest_kcal_mol=34.7 lumo_ev="-9.14 / -9.49" mol_weight_g_mol=654.787 e_homo_ha="-0.4033 / -0.4123"
Ce 0.1462 -0.3292 1.4522
C -1.8849 1.0438 1.7748
C -2.0521 0.1902 0.6264
C -1.8605 -1.1485 2.5386
C -1.7129 0.2224 2.9422
C -2.0730 -1.1702 1.1124
C -2.0775 2.5168 1.7917
H -2.7999 2.8242 1.0200
H -1.1353 3.0548 1.6153
H -2.4632 2.8275 2.7701
C -1.4563 0.7108 4.3250
H -1.9199 1.6945 4.4786
H -0.3821 0.8223 4.5527
H -1.8761 0.0027 5.0506
C -1.6927 -2.3403 3.4123
H -1.9839 -2.1132 4.4445
H -0.6563 -2.7123 3.4282
H -2.3393 -3.1508 3.0532
C -2.1282 -2.4113 0.2924
H -3.0230 -2.9878 0.5724
H -1.2515 -3.0640 0.4522
H -2.1862 -2.1825 -0.7777
C -2.1376 0.6304 -0.8044
H -3.1470 0.4641 -1.2206
H -1.4211 0.0900 -1.4488
H -1.9117 1.7024 -0.8999
C 2.5203 1.7426 -2.4305
C 1.3376 2.3424 -2.6171
C 0.2391 1.9961 -3.5740
C 0.4062 0.6785 -4.3576
C 0.2425 -0.5727 -3.5506
C 1.1836 -1.2806 -2.9159
C 2.5014 -0.8070 -2.3956
C 3.0642 0.4801 -3.0445
H 0.1281 2.8114 -4.3073
H 1.3415 0.6924 -4.9289
H -0.7096 1.9583 -3.0152
H 2.9620 0.4499 -4.1357
H 3.2165 2.1965 -1.7114
H 1.1074 3.1979 -1.9720
H 4.1507 0.5030 -2.8430
H 2.4607 -0.6645 -1.2987
H 0.9413 -2.3072 -2.6028
H 3.2346 -1.6213 -2.5302
H -0.4043 0.6610 -5.1033
H -0.7756 -0.9830 -3.5891
P 4.2433 -3.1859 -4.3121
P 3.8001 -6.0659 -3.9718
C 5.2305 -4.2307 -5.5170
C 5.3089 -5.6679 -5.0093
H 6.2301 -3.7862 -5.6059
H 4.7534 -4.1766 -6.5062
H 5.3713 -6.3888 -5.8356
H 6.1888 -5.8091 -4.3657
C 4.3177 -7.7866 -3.5789
H 3.4857 -8.3180 -3.1019
H 5.1648 -7.7496 -2.8833
H 4.6151 -8.3049 -4.5003
........

## Done
No. 1
90
Properties=species:S:1:pos:R:3 method="wB97M-V/def2-TZVPD" total_charge=+1 lumo_ev=-3.19 mol_weight_g_mol=815.661 e_homo_ha=-0.3759
Bi -0.0469 0.1218 -0.4919
C -1.8581 1.7101 -0.3051
C -2.2558 0.7618 -1.3824
C -2.1066 -0.4606 0.6624
C -1.8486 0.9702 0.9589
C -2.3932 -0.5978 -0.7813
C -1.8799 3.2054 -0.4465
H -1.5510 3.5849 -1.4378
H -1.2744 3.7510 0.3033
H -2.9231 3.5730 -0.3146
C -1.8047 1.5512 2.3023
H -1.6014 2.6321 2.3255
H -1.0654 1.0790 2.9773
H -2.7819 1.4087 2.7957
C -2.2978 -1.5333 1.6763
H -3.3751 -1.6315 1.9225
H -1.7822 -1.3267 2.6298
H -1.9593 -2.5461 1.3667
C -3.2203 -1.7286 -1.2607
H -4.2778 -1.4873 -1.0223
H -3.0274 -2.6856 -0.7356
H -3.2197 -1.9737 -2.3422
C -3.0193 1.2701 -2.4989
H -3.9628 1.6860 -2.0864
H -3.3396 0.5178 -3.2297
H -2.5598 2.1178 -3.0452
C 1.4109 0.5223 -3.8529
C 0.3764 1.4069 -4.0059
C -0.1988 1.7408 -5.3373
C -1.0750 0.5889 -5.8954
C -1.1230 -0.6280 -5.0125
C -0.0817 -1.4808 -4.9269
C 1.2103 -1.2552 -5.6414
C 2.0784 -0.1408 -5.0056
H 0.6043 1.9761 -6.0557
H -0.6518 0.2970 -6.8730
H -0.7938 2.6767 -5.2595
H 2.3505 0.5973 -5.7756
H 1.7998 0.1725 -2.8907
H -0.1534 1.9042 -3.1834
H 3.0427 -0.5698 -4.6637
H 1.7671 -2.2056 -5.7292
H -0.2263 -2.4931 -4.5073
H 1.0070 -0.9758 -6.6889
H -2.0876 0.9417 -6.1614
H -2.1145 -0.9506 -4.6341
P 1.6143 1.9289 0.1878
C 1.2295 2.7063 1.7590
H 2.1125 3.3307 1.9860
H 1.0854 2.0329 2.6198
H 0.3650 3.3895 1.7054
C 3.2755 1.3512 0.4164
H 3.8327 2.2140 0.8378
H 3.7726 1.0711 -0.5277
H 3.3741 0.5112 1.1261
C 1.7988 3.3839 -0.8062
H 2.2981 3.1967 -1.7682
H 2.4602 4.0602 -0.2245
H 0.8622 3.9365 -1.0009
P 0.8441 -2.2483 -0.6717
C -0.3550 -3.5138 -1.0589
H 0.2491 -4.3601 -1.4405
H -1.1501 -3.3074 -1.7817
H -0.8728 -3.8843 -0.1431
C 2.4633 -2.4885 -1.3489
H 2.4467 -2.6804 -2.4321
H 2.8791 -3.4107 -0.8886
H 3.1964 -1.6811 -1.1395
C 1.2297 -3.0428 0.8837
H 1.4441 -4.0981 0.6273
H 0.4050 -3.0492 1.6076
H 2.1229 -2.6353 1.3619
O 2.3660 -0.7826 2.5650
C 1.1621 -0.5748 2.8295
O 0.2889 -0.3645 1.9696
C 0.8096 -0.6019 4.3409
C -0.4723 -0.4380 4.8862
C -0.6698 -0.3453 6.2935
C 0.3891 -0.4339 7.1761
C 1.6657 -0.6286 6.6440
C 1.8802 -0.7069 5.2432
N 2.8163 -0.7341 7.5778
O 2.5619 -0.6424 8.8080
O 3.9500 -0.9057 7.0751
N -2.0477 -0.0969 6.8143
O -2.9814 0.0005 5.9780
O -2.1625 0.0079 8.0605
H -1.3765 -0.3675 4.2891
H 0.2288 -0.3546 8.2361
H 2.8988 -0.8380 4.8871



No. 2
84
Properties=species:S:1:pos:R:3 method="wB97M-V/def2-TZVPD" total_charge=+2 e_above_lowest_kcal_mol=34.7 lumo_ev="-9.14 / -9.49" mol_weight_g_mol=654.787 e_homo_ha="-0.4033 / -0.4123"
Ce 0.1462 -0.3292 1.4522
C -1.8849 1.0438 1.7748
C -2.0521 0.1902 0.6264
C -1.8605 -1.1485 2.5386
C -1.7129 0.2224 2.9422
C -2.0730 -1.1702 1.1124
C -2.0775 2.5168 1.7917
H -2.7999 2.8242 1.0200
H -1.1353 3.0548 1.6153
H -2.4632 2.8275 2.7701
C -1.4563 0.7108 4.3250
H -1.9199 1.6945 4.4786
H -0.3821 0.8223 4.5527
H -1.8761 0.0027 5.0506
C -1.6927 -2.3403 3.4123
H -1.9839 -2.1132 4.4445
H -0.6563 -2.7123 3.4282
H -2.3393 -3.1508 3.0532
C -2.1282 -2.4113 0.2924
H -3.0230 -2.9878 0.5724
H -1.2515 -3.0640 0.4522
H -2.1862 -2.1825 -0.7777
C -2.1376 0.6304 -0.8044
H -3.1470 0.4641 -1.2206
H -1.4211 0.0900 -1.4488
H -1.9117 1.7024 -0.8999
C 2.5203 1.7426 -2.4305
C 1.3376 2.3424 -2.6171
C 0.2391 1.9961 -3.5740
C 0.4062 0.6785 -4.3576
C 0.2425 -0.5727 -3.5506
C 1.1836 -1.2806 -2.9159
C 2.5014 -0.8070 -2.3956
C 3.0642 0.4801 -3.0445
H 0.1281 2.8114 -4.3073
H 1.3415 0.6924 -4.9289
H -0.7096 1.9583 -3.0152
H 2.9620 0.4499 -4.1357
H 3.2165 2.1965 -1.7114
H 1.1074 3.1979 -1.9720
H 4.1507 0.5030 -2.8430
H 2.4607 -0.6645 -1.2987
H 0.9413 -2.3072 -2.6028
H 3.2346 -1.6213 -2.5302
H -0.4043 0.6610 -5.1033
H -0.7756 -0.9830 -3.5891
P 4.2433 -3.1859 -4.3121
P 3.8001 -6.0659 -3.9718
C 5.2305 -4.2307 -5.5170
C 5.3089 -5.6679 -5.0093
H 6.2301 -3.7862 -5.6059
H 4.7534 -4.1766 -6.5062
H 5.3713 -6.3888 -5.8356
H 6.1888 -5.8091 -4.3657
C 4.3177 -7.7866 -3.5789
H 3.4857 -8.3180 -3.1019
H 5.1648 -7.7496 -2.8833
H 4.6151 -8.3049 -4.5003